Assignment.
Give back only the lines underneath with the word "de_lowest_kcal_mol" in them.

Given.
-- begin --
Record 1
{"formula": "C9H16N3", "method": "ωB97M-V/def2-TZVPD", "species": ["C", "C", "N", "N", "N", "H", "H", "H", "H", "H", "H", "H", "H", "C", "C", "C", "C", "C", "C", "C", "H", "H", "H", "H", "H", "H", "H", "H"], "coordinates": [[-0.082860, -2.702373, -0.813618], [1.849119, -1.100014, -0.864345], [1.327038, -2.444257, -1.081877], [3.168824, -1.130017, -1.251712], [1.083449, -0.026020, -0.666515], [2.177206, -3.157887, -1.180468], [3.652944, -1.918339, -1.425148], [3.483562, -0.231553, -1.518758], [0.248288, 0.006261, -0.134608], [1.460699, 0.911347, -0.752201], [-0.742830, -2.283153, -1.658838], [-0.211827, -2.102679, 0.167986], [-0.306812, -3.709690, -0.641870], [0.227671, 2.369556, 2.321139], [-2.184266, 0.198391, -0.673339], [-1.667299, 1.408444, -1.044127], [-2.225554, -0.073267, 0.722475], [-0.885200, 2.146380, -0.105210], [-1.541290, 0.670325, 1.694833], [-0.620421, 1.683589, 1.268425], [-2.791345, -0.430777, -1.358161], [-1.916930, 1.834409, -2.049542], [-2.901693, -1.026845, 0.981791], [-0.274309, 2.991001, -0.408489], [-1.584582, 0.533191, 2.753189], [-0.244642, 3.266653, 2.494494], [1.290931, 2.486253, 2.015546], [0.212135, 1.831083, 3.208939]], "atomic_forces_ev_per_a": [[0.0, 3.2, 0.6], [0.8, -6.2, -3.1], [3.1, 2.3, 0.9], [-4.6, 5.3, 2.2], [1.6, 0.3, -0.3], [-3.3, 1.6, 0.3], [1.8, -3.0, -0.9], [1.3, 0.5, -0.2], [-0.7, -0.9, 0.2], [0.5, -0.4, 0.0], [1.0, -0.6, 1.3], [-0.8, -1.2, -1.4], [-0.1, -1.5, 0.2], [1.2, -1.5, -2.8], [-2.0, -2.2, 2.7], [0.6, 2.4, -0.8], [-2.5, -3.5, -2.2], [2.1, -0.7, 3.1], [1.1, 0.6, -0.7], [-1.5, 1.5, -2.8], [0.7, 0.5, 0.5], [0.5, -0.3, 1.0], [1.7, 2.4, -0.1], [-0.5, 0.2, -0.3], [-0.5, -0.6, 0.5], [-0.7, 2.5, 0.5], [-0.8, 0.2, 0.1], [0.0, -1.1, 1.6]], "lowdin_charge": [-0.06, -0.28, 0.00, 0.22, 0.23, 0.22, 0.08, 0.12, 0.04, 0.14, 0.12, 0.10, 0.08, 0.02, -0.05, 0.02, 0.00, 0.03, 0.09, -0.18, 0.15, 0.17, 0.19, 0.14, 0.14, 0.08, 0.12, 0.07], "largest_force_ev_per_a": 7.32, "de_lowest_kcal_mol": 56.2, "homo_lumo_gap_ev": [9.52, 5.13], "spin_multiplicity": 2, "e_tot_ha": -516.06638, "e_lumo_ev": [-7.608, -11.964], "total_charge": 2, "s_squared": 0.77}

Record 2
-- stop --

Outcome.
{"formula": "C9H16N3", "method": "ωB97M-V/def2-TZVPD", "species": ["C", "C", "N", "N", "N", "H", "H", "H", "H", "H", "H", "H", "H", "C", "C", "C", "C", "C", "C", "C", "H", "H", "H", "H", "H", "H", "H", "H"], "coordinates": [[-0.082860, -2.702373, -0.813618], [1.849119, -1.100014, -0.864345], [1.327038, -2.444257, -1.081877], [3.168824, -1.130017, -1.251712], [1.083449, -0.026020, -0.666515], [2.177206, -3.157887, -1.180468], [3.652944, -1.918339, -1.425148], [3.483562, -0.231553, -1.518758], [0.248288, 0.006261, -0.134608], [1.460699, 0.911347, -0.752201], [-0.742830, -2.283153, -1.658838], [-0.211827, -2.102679, 0.167986], [-0.306812, -3.709690, -0.641870], [0.227671, 2.369556, 2.321139], [-2.184266, 0.198391, -0.673339], [-1.667299, 1.408444, -1.044127], [-2.225554, -0.073267, 0.722475], [-0.885200, 2.146380, -0.105210], [-1.541290, 0.670325, 1.694833], [-0.620421, 1.683589, 1.268425], [-2.791345, -0.430777, -1.358161], [-1.916930, 1.834409, -2.049542], [-2.901693, -1.026845, 0.981791], [-0.274309, 2.991001, -0.408489], [-1.584582, 0.533191, 2.753189], [-0.244642, 3.266653, 2.494494], [1.290931, 2.486253, 2.015546], [0.212135, 1.831083, 3.208939]], "atomic_forces_ev_per_a": [[0.0, 3.2, 0.6], [0.8, -6.2, -3.1], [3.1, 2.3, 0.9], [-4.6, 5.3, 2.2], [1.6, 0.3, -0.3], [-3.3, 1.6, 0.3], [1.8, -3.0, -0.9], [1.3, 0.5, -0.2], [-0.7, -0.9, 0.2], [0.5, -0.4, 0.0], [1.0, -0.6, 1.3], [-0.8, -1.2, -1.4], [-0.1, -1.5, 0.2], [1.2, -1.5, -2.8], [-2.0, -2.2, 2.7], [0.6, 2.4, -0.8], [-2.5, -3.5, -2.2], [2.1, -0.7, 3.1], [1.1, 0.6, -0.7], [-1.5, 1.5, -2.8], [0.7, 0.5, 0.5], [0.5, -0.3, 1.0], [1.7, 2.4, -0.1], [-0.5, 0.2, -0.3], [-0.5, -0.6, 0.5], [-0.7, 2.5, 0.5], [-0.8, 0.2, 0.1], [0.0, -1.1, 1.6]], "lowdin_charge": [-0.06, -0.28, 0.00, 0.22, 0.23, 0.22, 0.08, 0.12, 0.04, 0.14, 0.12, 0.10, 0.08, 0.02, -0.05, 0.02, 0.00, 0.03, 0.09, -0.18, 0.15, 0.17, 0.19, 0.14, 0.14, 0.08, 0.12, 0.07], "largest_force_ev_per_a": 7.32, "de_lowest_kcal_mol": 56.2, "homo_lumo_gap_ev": [9.52, 5.13], "spin_multiplicity": 2, "e_tot_ha": -516.06638, "e_lumo_ev": [-7.608, -11.964], "total_charge": 2, "s_squared": 0.77}